Entries =
........
i:
16
Lattice="-0.3257 5.6025 4.3120 -4.8315 3.0286 -4.3000 -9.1993 -5.5057 6.4586" Properties=species:S:1:pos:R:3 comment="NaCa PBE optimized geometry" total_magnetization_mub_per_fu=0.00 pbc="T T T"
Na -8.1563 0.3671 1.8994
Na -8.6209 4.3579 2.4869
Na -6.8196 -1.3041 6.5214
Na -5.2578 5.2671 3.9094
Na -2.2542 2.2213 -0.2408
Na -9.9022 0.2761 5.1670
Na -6.7334 2.0117 -2.6565
Na -9.6816 -0.6955 8.7958
Ca -11.1286 3.8322 5.0334
Ca -2.9556 2.3549 3.2878
Ca -6.8431 2.2401 5.0062
Ca -5.7637 2.8730 0.8769
Ca -3.6198 6.1143 0.7724
Ca -5.0821 -0.8974 3.4079
Ca -13.1681 -1.2062 3.7548
Ca -8.8650 -2.8092 3.7432

***

ii:
2
Lattice="-2.3240 -3.5688 -0.1818 3.3038 -2.0633 -1.7314 1.3616 -1.0849 3.8909" Properties=species:S:1:pos:R:3 comment="NaCa PBE optimized geometry" total_magnetization_mub_per_fu=0.00 pbc="T T T"
Ca 0.0000 0.0000 0.0000
Na 1.1707 -3.3585 0.9889

***

ii is the most stable structure; the next one sits 0.020 eV/atom above it.

***

i:
5
Lattice="3.8508 0.0000 0.4702 1.8967 3.3513 0.4702 -0.0083 -0.0048 16.0730" Properties=species:S:1:pos:R:3 comment="NaCa4 PBE optimized geometry" total_magnetization_mub_per_fu=0.00 pbc="T T T"
Ca 1.1479 0.6693 6.6035
Ca 3.4468 2.0098 3.7792
Ca 2.2924 1.3367 13.2341
Ca 4.5913 2.6772 10.4097
Na 0.0000 0.0000 0.0000

***

ii:
10
Lattice="-1.2183 3.0103 -6.8266 3.9106 -1.8968 -5.7201 -4.2811 -6.7775 -6.4103" Properties=species:S:1:pos:R:3 comment="NaCa4 PBE optimized geometry" total_magnetization_mub_per_fu=0.00 pbc="T T T"
Ca 0.3655 -1.6159 -4.9635
Ca 0.6408 -2.2502 -11.5713
Ca -1.9544 -4.0481 -13.9934
Ca -0.2427 -0.1125 -8.3777
Ca -2.2297 -3.4138 -7.3857
Ca -1.3462 -5.5515 -10.5792
Ca -2.8390 -1.9084 -10.7995
Ca 1.2501 -3.7556 -8.1574
Na -0.9143 2.2591 -5.1232
Na -0.3040 0.7511 -1.7034

***

iii:
5
Lattice="6.0891 0.0000 0.0000 0.0000 6.0891 0.0000 0.0000 0.0000 6.0891" Properties=species:S:1:pos:R:3 comment="NaCa4 PBE optimized geometry" total_magnetization_mub_per_fu=0.00 pbc="T T T"
Ca 0.0000 0.0000 0.0000
Ca 3.0446 3.0446 0.0000
Ca 0.0000 3.0446 3.0446
Ca 3.0446 0.0000 3.0446
Na 3.0446 3.0446 3.0446

***

i is the most stable structure; the next one sits 0.036 eV/atom above it.

* * * * *

[1]
Ce2Ga3GeAu4 (PBE, relaxed); N(E_F) = 14.56 states/eV/cell; uncorrected energy = -44.31 eV per cell; calculated formation energy = -563 meV per atom
1.0
4.483 0.000 0.000
0.000 4.483 0.000
0.000 0.000 10.403
Ce Ga Ge Au
2 3 1 4
direct
0.000 0.500 0.250
0.500 0.000 0.750
0.000 0.000 0.000
0.000 0.500 0.630
0.500 0.000 0.370
0.500 0.500 0.000
0.000 0.000 0.500
0.000 0.500 0.870
0.500 0.000 0.130
0.500 0.500 0.500


[2]
Ce2GaGe4Au3 (PBE, relaxed); N(E_F) = 14.15 states/eV/cell; uncorrected energy = -47.81 eV per cell; calculated formation energy = -461 meV per atom
1.0
4.548 0.000 0.000
0.000 4.548 0.000
0.000 0.000 10.220
Ce Ga Ge Au
2 1 4 3
direct
0.000 0.500 0.248
0.500 0.000 0.752
0.000 0.000 0.500
0.000 0.000 0.000
0.000 0.500 0.630
0.500 0.000 0.370
0.500 0.500 0.000
0.000 0.500 0.873
0.500 0.000 0.127
0.500 0.500 0.500


[3]
CeGa2GeAu5 (PBE, relaxed); N(E_F) = 8.70 states/eV/cell; uncorrected energy = -34.88 eV per cell; calculated formation energy = -209 meV per atom
1.0
4.990 0.000 0.000
0.000 4.990 0.000
0.000 0.000 7.541
Ce Ga Ge Au
1 2 1 5
direct
0.000 0.000 0.000
0.500 0.500 0.342
0.500 0.500 0.658
0.000 0.000 0.500
0.000 0.500 0.250
0.000 0.500 0.750
0.500 0.000 0.250
0.500 0.000 0.750
0.500 0.500 0.000


[4]
Ce2Ga3HgAu4 (PBE, relaxed); N(E_F) = 17.28 states/eV/cell; uncorrected energy = -39.35 eV per cell; calculated formation energy = -499 meV per atom
1.0
4.384 0.000 0.000
0.000 4.384 0.000
0.000 0.000 11.287
Ce Ga Hg Au
2 3 1 4
direct
0.000 0.500 0.240
0.500 0.000 0.760
0.000 0.500 0.874
0.500 0.000 0.126
0.500 0.500 0.500
0.000 0.000 0.500
0.000 0.000 0.000
0.000 0.500 0.653
0.500 0.000 0.347
0.500 0.500 0.000


[5]
Ce2Ga4HgAu3 (PBE, relaxed); N(E_F) = 15.73 states/eV/cell; uncorrected energy = -39.34 eV per cell; calculated formation energy = -523 meV per atom
1.0
........
Exercise =
Quote the data above without altering anything, please.
Done =
i:
16
Lattice="-0.3257 5.6025 4.3120 -4.8315 3.0286 -4.3000 -9.1993 -5.5057 6.4586" Properties=species:S:1:pos:R:3 comment="NaCa PBE optimized geometry" total_magnetization_mub_per_fu=0.00 pbc="T T T"
Na -8.1563 0.3671 1.8994
Na -8.6209 4.3579 2.4869
Na -6.8196 -1.3041 6.5214
Na -5.2578 5.2671 3.9094
Na -2.2542 2.2213 -0.2408
Na -9.9022 0.2761 5.1670
Na -6.7334 2.0117 -2.6565
Na -9.6816 -0.6955 8.7958
Ca -11.1286 3.8322 5.0334
Ca -2.9556 2.3549 3.2878
Ca -6.8431 2.2401 5.0062
Ca -5.7637 2.8730 0.8769
Ca -3.6198 6.1143 0.7724
Ca -5.0821 -0.8974 3.4079
Ca -13.1681 -1.2062 3.7548
Ca -8.8650 -2.8092 3.7432

***

ii:
2
Lattice="-2.3240 -3.5688 -0.1818 3.3038 -2.0633 -1.7314 1.3616 -1.0849 3.8909" Properties=species:S:1:pos:R:3 comment="NaCa PBE optimized geometry" total_magnetization_mub_per_fu=0.00 pbc="T T T"
Ca 0.0000 0.0000 0.0000
Na 1.1707 -3.3585 0.9889

***

ii is the most stable structure; the next one sits 0.020 eV/atom above it.

***

i:
5
Lattice="3.8508 0.0000 0.4702 1.8967 3.3513 0.4702 -0.0083 -0.0048 16.0730" Properties=species:S:1:pos:R:3 comment="NaCa4 PBE optimized geometry" total_magnetization_mub_per_fu=0.00 pbc="T T T"
Ca 1.1479 0.6693 6.6035
Ca 3.4468 2.0098 3.7792
Ca 2.2924 1.3367 13.2341
Ca 4.5913 2.6772 10.4097
Na 0.0000 0.0000 0.0000

***

ii:
10
Lattice="-1.2183 3.0103 -6.8266 3.9106 -1.8968 -5.7201 -4.2811 -6.7775 -6.4103" Properties=species:S:1:pos:R:3 comment="NaCa4 PBE optimized geometry" total_magnetization_mub_per_fu=0.00 pbc="T T T"
Ca 0.3655 -1.6159 -4.9635
Ca 0.6408 -2.2502 -11.5713
Ca -1.9544 -4.0481 -13.9934
Ca -0.2427 -0.1125 -8.3777
Ca -2.2297 -3.4138 -7.3857
Ca -1.3462 -5.5515 -10.5792
Ca -2.8390 -1.9084 -10.7995
Ca 1.2501 -3.7556 -8.1574
Na -0.9143 2.2591 -5.1232
Na -0.3040 0.7511 -1.7034

***

iii:
5
Lattice="6.0891 0.0000 0.0000 0.0000 6.0891 0.0000 0.0000 0.0000 6.0891" Properties=species:S:1:pos:R:3 comment="NaCa4 PBE optimized geometry" total_magnetization_mub_per_fu=0.00 pbc="T T T"
Ca 0.0000 0.0000 0.0000
Ca 3.0446 3.0446 0.0000
Ca 0.0000 3.0446 3.0446
Ca 3.0446 0.0000 3.0446
Na 3.0446 3.0446 3.0446

***

i is the most stable structure; the next one sits 0.036 eV/atom above it.

* * * * *

[1]
Ce2Ga3GeAu4 (PBE, relaxed); N(E_F) = 14.56 states/eV/cell; uncorrected energy = -44.31 eV per cell; calculated formation energy = -563 meV per atom
1.0
4.483 0.000 0.000
0.000 4.483 0.000
0.000 0.000 10.403
Ce Ga Ge Au
2 3 1 4
direct
0.000 0.500 0.250
0.500 0.000 0.750
0.000 0.000 0.000
0.000 0.500 0.630
0.500 0.000 0.370
0.500 0.500 0.000
0.000 0.000 0.500
0.000 0.500 0.870
0.500 0.000 0.130
0.500 0.500 0.500


[2]
Ce2GaGe4Au3 (PBE, relaxed); N(E_F) = 14.15 states/eV/cell; uncorrected energy = -47.81 eV per cell; calculated formation energy = -461 meV per atom
1.0
4.548 0.000 0.000
0.000 4.548 0.000
0.000 0.000 10.220
Ce Ga Ge Au
2 1 4 3
direct
0.000 0.500 0.248
0.500 0.000 0.752
0.000 0.000 0.500
0.000 0.000 0.000
0.000 0.500 0.630
0.500 0.000 0.370
0.500 0.500 0.000
0.000 0.500 0.873
0.500 0.000 0.127
0.500 0.500 0.500


[3]
CeGa2GeAu5 (PBE, relaxed); N(E_F) = 8.70 states/eV/cell; uncorrected energy = -34.88 eV per cell; calculated formation energy = -209 meV per atom
1.0
4.990 0.000 0.000
0.000 4.990 0.000
0.000 0.000 7.541
Ce Ga Ge Au
1 2 1 5
direct
0.000 0.000 0.000
0.500 0.500 0.342
0.500 0.500 0.658
0.000 0.000 0.500
0.000 0.500 0.250
0.000 0.500 0.750
0.500 0.000 0.250
0.500 0.000 0.750
0.500 0.500 0.000


[4]
Ce2Ga3HgAu4 (PBE, relaxed); N(E_F) = 17.28 states/eV/cell; uncorrected energy = -39.35 eV per cell; calculated formation energy = -499 meV per atom
1.0
4.384 0.000 0.000
0.000 4.384 0.000
0.000 0.000 11.287
Ce Ga Hg Au
2 3 1 4
direct
0.000 0.500 0.240
0.500 0.000 0.760
0.000 0.500 0.874
0.500 0.000 0.126
0.500 0.500 0.500
0.000 0.000 0.500
0.000 0.000 0.000
0.000 0.500 0.653
0.500 0.000 0.347
0.500 0.500 0.000


[5]
Ce2Ga4HgAu3 (PBE, relaxed); N(E_F) = 15.73 states/eV/cell; uncorrected energy = -39.34 eV per cell; calculated formation energy = -523 meV per atom
1.0